Pray for this generation to be delivered
-- Records of crystals, as found in the file --
┌──
4
Lattice="4.3406 0.0121 -0.0201 3.4117 2.6835 -0.0201 0.9162 0.3186 4.9058" Properties=species:S:1:pos:R:3 comment="GGA-PBE Al2OsRu, relaxed" sg="C2/m (12)" dft_energy_ev_per_atom=-7.27 m_tot_mub_per_atom=0.0000 ef_ev_per_fu=-1.101 pbc="T T T"
Ru 2.1671 0.7535 1.2164
Al 7.7516 2.6953 -0.0336
Os 6.5014 2.2606 3.6492
Al 4.3350 1.5073 2.4261

=====

8
Lattice="-1.0728 -0.4256 -3.8285 0.2071 -3.9748 0.3838 -7.9400 -0.1966 2.2468" Properties=species:S:1:pos:R:3 comment="GGA-PBE PaGePdO, relaxed" sg="P4/nmm (129)" dft_energy_ev_per_atom=-7.75 m_tot_mub_per_atom=0.0042 e_form_raw_ev_per_atom=-1.68 pbc="T T T"
O -3.9700 -0.0983 1.1234
Pa -5.7320 -0.3415 -0.4440
Pa -2.6409 -2.0554 0.9685
Pd -0.4329 -2.2002 -1.7223
Pd 0.0000 0.0000 0.0000
Ge -6.3493 -2.1472 2.0179
O -4.4029 -2.2985 -0.5989
Ge -2.0236 -0.2496 -1.4934

=====

3
Lattice="-0.6961 -2.6505 2.7719 2.4255 -2.4865 -1.7685 4.4150 5.0726 3.2186" Properties=species:S:1:pos:R:3 comment="GGA-PBE AcEuAs, relaxed" sg="I4mm (107)" dft_energy_ev_per_atom=-7.08 m_tot_mub_per_atom=2.3886 ef_ev_per_fu=-2.215 de_polymorph_ev_per_atom=0.087 pbc="T T T"
Eu 0.4447 0.2109 0.3134
As 2.6546 -1.7196 1.7629
Ac 3.0452 1.4443 2.1457

=====

6
Lattice="-1.6954 1.6103 -4.8075 4.5092 -5.6101 -0.4944 -4.1429 -3.3595 0.3358" Properties=species:S:1:pos:R:3 comment="GGA-PBE CaLaAl, relaxed" sg="Cmcm (63)" dft_energy_ev_per_atom=-3.74 m_tot_mub_per_atom=0.0000 ef_ev_per_fu=-0.559 de_polymorph_ev_per_atom=0.094 pbc="T T T"
Al -2.7931 -0.3578 -3.0871
La 1.6532 -5.5780 -0.4574
Al -4.0111 -2.8503 -0.5206
Ca -1.4169 -6.2547 -2.5736
La -3.9481 -3.2402 -3.6446
Ca -0.8781 -2.5636 -1.5285

=====

4
Lattice="7.2651 -0.0146 0.0030 -3.9847 6.0749 0.0030 0.7634 1.4103 3.3691" Properties=species:S:1:pos:R:3 comment="GGA-PBE SrLiLa2, relaxed" sg="C2/m (12)" dft_energy_ev_per_atom=-3.18 m_tot_mub_per_atom=0.0005 ef_ev_per_fu=0.719 de_polymorph_ev_per_atom=0.106 pbc="T T T"
Sr -1.6107 3.7426 1.6860
La 0.0000 0.0000 0.0000
La 1.6402 3.0301 0.0030
Li 4.0142 0.6979 1.6860

=====

5
Lattice="-1.9039 4.6146 1.1216 -3.6440 -1.8572 1.4553 2.0268 -0.3032 4.6880" Properties=species:S:1:pos:R:3 comment="GGA-PBE Hf2TaVFe, relaxed" sg="P4/mmm (123)" dft_energy_ev_per_atom=-8.50 m_tot_mub_per_atom=0.7341 ef_ev_per_fu=6.856 de_polymorph_ev_per_atom=0.774 pbc="T T T"
Hf -0.9520 2.3073 0.5608
Ta 0.0000 0.0000 0.0000
Hf 1.0134 -0.1516 2.3440
Fe -1.8220 -0.9286 0.7277
V -1.7606 1.2271 3.6325

=====

6
Lattice="0.0000 4.4695 4.4695 4.4695 0.0000 4.4695 4.4695 4.4695 0.0000" Properties=species:S:1:pos:R:3 comment="GGA-PBE KPtBr4, relaxed" sg="F-43m (216)" dft_energy_ev_per_atom=-1.83 m_tot_mub_per_atom=0.0395 e_form_raw_ev_per_atom=0.48 de_polymorph_ev_per_atom=1.155 pbc="T T T"
Br 3.3455 5.5935 5.5935
Br 3.3455 3.3455 3.3455
Pt 0.0000 0.0000 0.0000
Br 5.5935 3.3455 5.5935
Br 5.5935 5.5935 3.3455
K 6.7042 6.7042 6.7042

=====

5
└──
WHO declares monkeypox does "currently" not constitute a global health emergency.
Lithuania clarifies stance on Russian exclave transit
President Nauseda says there can be no “corridors” for sanctioned goods between Kaliningrad and mainland Russia
Lithuania will maintain the ban on the transit of sanctioned goods between Kaliningrad Region and mainland Russia, President Gitanas Nauseda has said.
“It is absolutely clear that Lithuania must and will implement EU sanctions,” Nauseda wrote in a Facebook post on Saturday.
“Lithuania must and will maintain control over the goods passing through its territory, and there cannot be any ‘corridors’, nor can there be any appeasement of Russia in response to the Kremlin’s threats. I have made clear to the president of the European Commission how Lithuania sees the situation.”
G7 summit kicks off in Germany
The leaders of the Group of Seven nations will discuss their response to the Russia-Ukraine conflict and energy crisis
The Group of Seven (G7) leaders are meeting in Germany for a three-day summit, which is expected to be dominated by the Russia-Ukraine conflict. Additional sanctions on Moscow, possible diplomatic solutions, and whether to put price caps on Russian oil are set to be on the agenda.
**Someone pasted records of crystals at this point**
=====
A geometry-optimized RbLiMnF4 structure. Source: Alexandria, functional PBE+U.

a = 6.008 Å, b = 5.651 Å, c = 7.269 Å
α = 90.00°, β = 101.42°, γ = 90.00°
Each line ends with the local moment (μB).
Sites, in units of the cell vectors:
F 0.977 0.482 0.677  0.03
Li 0.893 0.750 0.516  0.00
Rb 0.234 0.250 0.019  0.00
Li 0.107 0.250 0.484  0.00
Mn 0.706 0.250 0.645  4.64
F 0.354 0.750 0.094  0.04
Rb 0.766 0.750 0.981  0.00
F 0.023 0.518 0.323  0.03
F 0.977 0.018 0.677  0.03
F 0.583 0.750 0.548  0.03
F 0.023 0.982 0.323  0.03
F 0.646 0.250 0.906  0.04
F 0.417 0.250 0.452  0.03
Mn 0.294 0.750 0.355  4.64

Output
Crystal system: monoclinic
Total magnetic moment (μB per formula unit): 5.00
Total energy (eV/atom): -5.24
Mass density (g cm⁻³): 3.1


Record 1
Sc2CoSi2 | Alexandria | meta-GGA SCAN | PBEsol geometry; calculated volume = 84.4 Å³/f.u.; space-group type = I4/mmm (139); E_form (uncorrected) = -0.167 eV/atom; total moment = 0.9 μB per formula unit
1.0
-1.0730 -2.3306 -2.1242
-1.4145 -1.6498 2.5245
-5.1886 5.9048 -1.2460
Si Co Sc
2 1 2
Cartesian
-3.9234 1.1324 0.7393
-3.7527 0.7920 -1.5850
0.0000 0.0000 0.0000
-5.1692 3.1459 -0.8405
-2.5069 -1.2215 -0.0052

***

Record 2
K2Na2Cd | Alexandria | meta-GGA SCAN | PBEsol geometry; calculated volume = 209.6 Å³/f.u.; formation enthalpy at 0 K = 0.02 eV/atom; space-group type = P4/mbm (127); total moment = 0.0 μB per formula unit
1.0
-4.6792 -3.7020 -1.2470
1.9907 -4.7142 6.5254
-4.9276 4.6019 4.8279
K Cd Na
4 2 4
Cartesian
-2.2698 -4.2435 6.2172
-5.3462 0.4292 3.8890
-2.6230 -2.4861 2.3254
-4.9930 -1.3282 7.7808
-1.4684 -0.0561 5.6766
0.0000 0.0000 0.0000
-1.4787 -1.0590 8.6926
-1.4581 0.9468 2.6607
0.5685 -2.3734 4.9130
-3.5053 2.2612 6.4402

***

Record 3
BaCa2Ag2 | Alexandria | meta-GGA SCAN | PBEsol geometry; calculated volume = 158.8 Å³/f.u.; E above lowest polymorph = 0.0 meV/atom; formation enthalpy at 0 K = -0.22 eV/atom; space-group type = I4/mmm (139); total moment = 0.0 μB per formula unit
1.0
4.8778 0.0000 0.0000
0.0000 4.8778 0.0000
-2.4389 -2.4389 6.6733
Ag Ba Ca
2 1 2
Cartesian
0.0000 0.0000 5.2841
2.4389 2.4389 1.3892
0.0000 0.0000 0.0000
0.0000 2.4389 3.3366
2.4389 0.0000 3.3366
=====
The G7 comprises the US, Canada, Britain, France, Germany, Italy and Japan. EU officials usually participate in the group’s events as well.
Russia To Transfer Nuclear-Capable Missiles To Belarus "Within Months": Putin
At a moment US media and much of the West is consumed with the historic Supreme Court decision to overturn Roe v. Wade, Russian President Vladimir Putin just issued what's possibly the most alarming and escalatory statement thus far in the four-month long Ukraine war.
On Saturday Putin for the first time informed his close ally Belarusian President Alexander Lukashenko that he has approved supplying Belarus with nuclear capable long-range missiles. Minsk has long offered to host Russian nukes as a 'deterrent' against the West - a prospect which Lukashenko had very provocatively offered even in the months leading up to the Feb.24 invasion of Ukraine.
Food Riots Continue In Sri Lanka As The Military Begins Shooting
The starving and hungry people of collapsing Sri Lanks have been rioting over the cost of food and lack of energy. As if things couldn’t get worse, the ruling class has taken to gunning down those who stand against being ruled.
• Here the article breaks off for crystal structures:
____________
This record from the Alexandria database describes crystalline BaNi2F7 at its relaxed geometry. The functional is PBE+U.

SG   Cmmm
Uncorrected energy   -4.396 eV per atom

a = 6.447 Å, b = 6.447 Å, c = 3.870 Å
α = 90.00°, β = 90.00°, γ = 121.86°
Positions (direct):
Ba 0.000 0.000 0.000
Ni 0.328 0.672 0.500
Ni 0.672 0.328 0.500
F 0.046 0.333 0.500
F 0.313 0.687 0.000
F 0.333 0.046 0.500
F 0.500 0.500 0.500
F 0.667 0.954 0.500
F 0.687 0.313 0.000
F 0.954 0.667 0.500
____________
People are starving and are without gas or electricity, and now they are rioting as a society completely collapses. To make matters worse, the military is gunning people down. This is a glimpse into the future here if the rulers of Western countries continue. Once they collapse it around us, we will be the ones starving while the government makes sure it can remain intact and functional. That means we’ll still get stolen from and be forced at the barrel of the fun to comply with whatever they say.
Global Food Shortage: U.N. Chief Guterres Warns of Looming ‘Catastrophe’
The world faces the prospect of a mass starvation “catastrophe” driven by unprecedented food shortages, U.N. chief Antonio Guterres warned Friday.
Guterres pointed to the conflict in Ukraine as exacerbating disruptions caused by “climate change, the coronavirus pandemic and inequality” to produce an “unprecedented global hunger crisis” already affecting hundreds of millions of people.
People Going Hungry as Food Prices Soar, Many Barely Able to Afford One Meal a Day
People in North America are now starting to go hungry as food prices skyrocket amid global shortages and soaring inflation.
While experts have been warning for months about looming food shortages, people are now being impacted by the crisis.
A new report from Canada says individuals living on government benefits are being forced to live with less.
Christian pregnancy clinic in Colorado is torched and graffitied with the words 'if abortions aren't safe, neither are you' after pro-abortion extremists warned of 'night of rage' following Roe v. Wade decision
A fire which occurred at a Christian pregnancy clinic in Colorado is being treated as arson after chilling messages were spray painted onto the walls and ground outside.
'If abortions aren't safe, neither are you,' read one. 'Bans off our bodies' said another by the entrance at the Life Choices clinic in Longmont, northeast of Boulder.
The fire broke out in the middle of the night at 3:17am on Saturday morning. Authorities believe the fire was set deliberately. No abortions are carried out at the center which aims to educate women on pregnancy
Facebook’s Audit Director AND Marketing Leads Are Former Pfizer Directors.
Conflict of interest, much?
Facebook – a platform that routinely censors posts critical of COVID-19 vaccines – has hired several alumni from Pfizer’s marketing and internal audit teams to lead similar efforts at the social media platform, The National Pulse can reveal.
The hires appear to present a conflict of interest for the social media platform, which has come under fire for censoring and banning users who’ve posted about the side effects or questioned the efficacy of COVID-19 vaccines.
Facebook’s Internal Audit Director, for example, was formerly a Senior Director at Pfizer. The employee – Tiffany Stokes – has held the influential position at Facebook since January 2020.
Dramatic Decline in Births in Germany
Must be the weather
Covid Vaccines and Fertility
Why is there a substantial decrease in births in Germany and Switzerland – nine months after the beginning of covid mass vaccinations?
An Israeli study recently published in the scientific journal Andrology found a 15% decrease in sperm concentration three months after mRNA covid vaccination. The authors argued the decrease was temporary, but the data didn’t actually show a recovery, just a wider confidence interval. However, the study was very small (just 37 participants), it had no control group (to exclude external effects), and several other studies found no such decrease in sperm concentration – some even found a supposed increase, highlighting that such measurements can be quite complex.
Pfizer says tweaked COVID-19 shots boost Omicron protection
Essex Care Home Locked Down After “Fully Vaccinated” Residents Tested Positive for Covid
Public Health England has forced the closure of a care home in Essex for at least two weeks after 10 residents test positive for Covid. It is understood that all the care home’s residents have been injected with four doses of the “safe and effective” Covid “vaccine.”
In its ‘Living with Covid-19’ strategy, from 24 February the UK government, amongst others, removed the legal requirement to self-isolate following a positive test and revoked The Health Protection (Coronavirus, Restrictions) (England) (No. 3) Regulations – after which local authorities will continue to manage local outbreaks of Covid in high-risk settings as they do with other infectious diseases.
Australia Is The Only Democratic Nation That Tracks Its Citizens By Their ‘Faceprint’ For COVID Containment Procedures, But That’s About To Change
Australia’s unique use of facial recognition technology from tech startup Genvis, called a faceprint, has caused controversy, stoking privacy fears that it could become a world leader in regulating its use.
Let me introduce you to a term that is about to become ‘all the rage’, your faceprint, and it soon will replace your fingerprint as the primary means of identification. In Australia, a tech company called Genvis has struck it rich by supplying the government there with faceprint tools to track their citizens who have COVID. This has worked so wonderfully well during the pandemic that now this draconian technology is being rolled out to all citizens who want access to any government services.
Lab-cultured, GMO-laden fake “meat” is a toxic abomination to be avoided at all costs
(Natural News) It was never enough just to tamper with your produce and grains. The biotechnology industry is now setting its sights on replacing all meat with genetically engineered (GMO) impostors, too.
Beef, poultry, fish, and dairy products are all on the chopping block as the architects behind the Great Reset shift society away from real, nutritious food and straight into laboratory abominations from hell.
Using technologies like synthetic biology and precision fermentation, mad scientists are concocting cultured “meat” synthetics along with other cell-based and gene-edited parodies of real food.
Rachel Levine: “Gender-affirming care is life-saving, medically necessary, age-appropriate, and a critical tool for healthcare providers.”

High-capacity ammo magazines will be banned in Washington State beginning July 1st
Starting July 1, the sale of ammunition magazines with more than 10 rounds will be banned in Washington state. Importing, manufacturing, and distributing them will be outlawed, too.
According to Komo News, The only magazines allowed for sale and importing will be those with a maximum capacity of 10 cartridges under a measure pushed through by Democrats and signed by Gov. Jay Inslee earlier this year, the Everett Herald reported. Washington residents can continue buying larger magazines until the law takes effect. Any owned as of July 1 are unaffected by the law.
Extreme heat causing infrastructure damage across the US, Roads buckling and cracking
Extreme heat across the U.S. has caused roads in Minnesota and elsewhere to buckle. The Minnesota Department of Transportation tweeted to alert drivers of the issue. “Driver alert: extreme heat could cause pavement buckles across the state,” it wrote.
“If you see buckling on your route, try to avoid driving over it and call 911 to report it. Pavement buckles are emergencies and we fix them ASAP.” On its website, the department explained that pavement buckles occur when the air temperature changes from moderate to extreme heat.
One effect of last week's Supreme Court decision was establishing a requirement for "strict scrutiny" in 2nd Amendment cases, meaning the right is assumed unless the government demonstrates reasons to infringe it. There is no rational argument for limiting magazine size, certainly not for a magical 10 round limit. What bad things happen with 11 rounds that don't happen with 10? It's arbitrary and capricious, and won't withstand strict scrutiny. Litigation is already being prepared to overturn the Washington law, and similar mindless edicts in other states. These will be argued up to the Supreme Court and the precedent is clear that they won't stand. That some states will see a need to appeal it up to the high court demonstrates the seditious disrespect those states and their supporters have for our laws. The dems want war. They'll probably get it. They won't like it.
really appreciate that Pfizer-Facebook link, went and shared the article on Facebook 😉